[Activity]
Print the lines underneath from the one with "5.5928 Å;" to the one with "(0.1637, 0.1637," unchanged.

[Input]
Record 1
# Mg2CdIn2Hg7
Calculated X-ray diffraction stick pattern, Cu Kα (weighted mean of Kα1 and Kα2). Input: a crystal structure in Alexandria, relaxed with GGA-PBE.

Peak list (10 most intense, 2θ from 10° to 90°, in order of rising 2θ)
2θ = 32.01°, I 72
2θ = 32.30°, I 70
2θ = 36.19°, I 100
2θ = 36.38°, I 99
2θ = 46.11°, I 53
2θ = 59.67°, I 23
2θ = 60.05°, I 23
2θ = 60.16°, I 23
2θ = 60.29°, I 23
2θ = 76.78°, I 22

Structural model:
Cell lengths 10.3133, 10.3133, 5.5928 Å; angles 105.34, 105.34, 31.18 degrees
Fractional positions:
Mg (0.0000, 0.0000, 0.0000)
Mg (0.5000, 0.5000, 0.4917)
Cd (0.7500, 0.7500, 0.2449)
In (0.0873, 0.0873, 0.5812)
In (0.4126, 0.4126, 0.9106)
Hg (0.1637, 0.1637, 0.1582)
Hg (0.2500, 0.2500, 0.7459)
Hg (0.3362, 0.3362, 0.3336)
Hg (0.5735, 0.5735, 0.0667)
Hg (0.6638, 0.6638, 0.6553)
Hg (0.8362, 0.8362, 0.8350)
Hg (0.9265, 0.9265, 0.4245)

---

Record 2
# MgCd2InHg8
Calculated X-ray diffraction stick pattern, Cu Kα (weighted mean of Kα1 and Kα2). Input: a crystal structure in Alexandria, relaxed with GGA-PBE.

Peak list (10 most intense, 2θ from 10° to 90°, in order of rising 2θ)
2θ = 30.10°, I 23
2θ = 32.22°, I 100
2θ = 34.65°, I 47
2θ = 37.37°, I 37
2θ = 51.66°, I 17
2θ = 53.46°, I 28
2θ = 53.67°, I 16
2θ = 63.81°, I 13
2θ = 67.13°, I 16
2θ = 79.18°, I 13

Structural model:
Cell lengths 6.8554, 6.8554, 7.8975 Å; angles 90.00, 90.00, 120.00 degrees
Fractional positions:
Mg (0.0000, 0.0000, 0.0000)
Cd (0.3333, 0.6667, 0.9201)
Cd (0.6667, 0.3333, 0.0799)
In (0.0000, 0.0000, 0.5000)
Hg (0.1799, 0.3597, 0.2343)
Hg (0.1799, 0.8201, 0.2343)
Hg (0.3333, 0.6667, 0.5598)
Hg (0.3597, 0.1799, 0.7657)
Hg (0.6403, 0.8201, 0.2343)
Hg (0.6667, 0.3333, 0.4402)
Hg (0.8201, 0.1799, 0.7657)
Hg (0.8201, 0.6403, 0.7657)

----------

[1]
Diffraction record for LiNpNi2O6. The powder XRD pattern is computed, not measured: it uses a cell relaxed with GGA+U and Cu Ka.

Atomic structure:
```
LiNpNi2O6
1.0
5.8397 0.0000 0.0000
0.0000 5.8397 0.0000
0.0000 0.0000 4.1682
Li Np Ni O
1 1 2 6
Direct
0.0000 0.0000 0.0000
0.5000 0.5000 0.9984
0.0000 0.5000 0.9974
0.5000 0.0000 0.9974
0.0000 0.0000 0.4995
0.2532 0.2532 0.9982
0.2532 0.7468 0.9982
0.5000 0.5000 0.4983
0.7468 0.2532 0.9982
0.7468 0.7468 0.9982
```

Most intense lines, 15 to 90 degrees two-theta, low angle first:
2θ = 15.17°, I 100.0; 2θ = 21.32°, I 75.4; 2θ = 26.27°, I 56.5; 2θ = 30.62°, I 41.6; 2θ = 34.34°, I 28.0; 2θ = 37.61°, I 31.5; 2θ = 40.77°, I 35.4; 2θ = 43.85°, I 29.8; 2θ = 49.26°, I 35.5; 2θ = 63.42°, I 18.4

[2]
Diffraction record for Li2Ni5O7. The powder XRD pattern is computed, not measured: it uses a cell relaxed with GGA+U and Cu Ka.

Atomic structure:
```
Li2Ni5O7
1.0
4.6446 -2.0645 0.0000
4.6446 2.0645 0.0000
-0.9568 0.0000 6.4996
Li Ni O
2 5 7
Direct
0.0681 0.0681 0.2127
0.9319 0.9319 0.7873
0.2153 0.2153 0.6435
0.3600 0.3600 0.0699
0.5000 0.5000 0.5000
0.6400 0.6400 0.9301
0.7847 0.7847 0.3565
0.0000 0.0000 0.5000
0.1543 0.1543 0.9260
0.2928 0.2928 0.3625
0.4308 0.4308 0.7868
0.5692 0.5692 0.2132
0.7072 0.7072 0.6375
0.8457 0.8457 0.0740
```

Most intense lines, 15 to 90 degrees two-theta, low angle first:
2θ = 22.00°, I 24.5; 2θ = 23.62°, I 45.4; 2θ = 37.58°, I 100.0; 2θ = 43.51°, I 65.2; 2θ = 43.66°, I 63.9; 2θ = 43.85°, I 63.6; 2θ = 63.23°, I 18.1; 2θ = 63.47°, I 54.4; 2θ = 63.60°, I 35.8; 2θ = 80.12°, I 17.9

[3]
Diffraction record for Li4Ni5O10. The powder XRD pattern is computed, not measured: it uses a cell relaxed with GGA+U and Cu Ka.

Atomic structure:
```
Li4Ni5O10
1.0
5.0699 0.0000 0.0000
-1.7424 5.5624 0.0000
-0.7500 -1.9634 6.0746
Li Ni O
4 5 10
Direct
0.1010 0.1933 0.1888
0.3033 0.6134 0.6093
0.6967 0.3866 0.3907
0.8990 0.8067 0.8112
0.1049 0.7024 0.2024
0.2963 0.0969 0.5999
0.5000 0.5000 0.0000
0.7037 0.9031 0.4001
0.8951 0.2976 0.7976
0.0197 0.7612 0.4851
0.1665 0.6251 0.9092
0.1743 0.1635 0.8728
0.3756 0.0329 0.3162
0.3960 0.5804 0.2986
0.6040 0.4196 0.7014
0.6244 0.9671 0.6838
0.8257 0.8365 0.1272
0.8335 0.3749 0.0908

[Written answer]
Cell lengths 10.3133, 10.3133, 5.5928 Å; angles 105.34, 105.34, 31.18 degrees
Fractional positions:
Mg (0.0000, 0.0000, 0.0000)
Mg (0.5000, 0.5000, 0.4917)
Cd (0.7500, 0.7500, 0.2449)
In (0.0873, 0.0873, 0.5812)
In (0.4126, 0.4126, 0.9106)
Hg (0.1637, 0.1637, 0.1582)